Blair Hansen [CHIMERA]



9 months, 9 days ago

Basic Info




27 yrs


Power Index: Time Distortion - Has the ability to slow down/speed up time (Ex. Slow down a fist when fighting to counter-attack); can predict what someone is about to do; she can appear to have super speed; has limited time-traveling abilities (time-traveling is arduous and requires a lot of concentration and will-power; it becomes harder with the farther back or forward she goes).  Can create a time distortion field around other people via touch, and objects, though the latter requires more effort. 

== Records of crystals that have nothing to do with the page ==
........
Crystalline SmZr2ZnN4 at its relaxed geometry, computed with PBE-GGA.

Space-group type: Cmcm
ΔE_f (raw): -1.203 eV/atom

a b c (Å): 3.3123 5.7932 11.2992
angles (deg): 90.00 90.00 106.61
Atoms (fractional coordinates):
Zn  0.8437  0.6874  0.7500
Zr  0.3715  0.7430  0.5457
N  0.5533  0.1066  0.2500
N  0.2721  0.5441  0.1148
N  0.2721  0.5441  0.3852
N  0.7279  0.4559  0.8852
N  0.0000  0.0000  0.0000
Sm  0.8898  0.7795  0.2500
Zr  0.6285  0.2570  0.4543
Zr  0.3715  0.7430  0.9543
Zr  0.6285  0.2570  0.0457
N  0.7279  0.4559  0.6148
N  0.0000  0.0000  0.5000
Sm  0.1102  0.2205  0.7500
Zn  0.1563  0.3126  0.2500
N  0.4467  0.8934  0.7500

=====

Crystalline Ce7Co2Sn2 at its relaxed geometry, computed with PBE-GGA.

Space-group type: Cmmm
Final energy: -66.0 eV/cell

a b c (Å): 6.8765 6.6592 6.8765
angles (deg): 90.02 110.16 89.98
Each line ends with the local moment (μB).
Atoms (fractional coordinates):
Ce  0.4998  0.2058  0.5002  0.54
Ce  0.0002  0.7388  0.4997  0.41
Co  0.2716  0.0000  0.7284  -0.13
Sn  0.8202  0.5000  0.8202  -0.02
Co  0.7284  0.0000  0.2716  -0.13
Sn  0.1798  0.5000  0.1798  -0.02
Ce  0.9998  0.2612  0.5003  0.41
Ce  0.0000  0.0000  0.0000  0.80
Ce  0.5002  0.7942  0.4998  0.54
Ce  0.5003  0.7388  0.9998  0.41
Ce  0.4997  0.2612  0.0002  0.41

=====

Crystalline ScGaNiBr2 at its relaxed geometry, computed with PBE-GGA.

Space-group type: P4/mmm
ΔE_f (raw): -0.217 eV/atom

a b c (Å): 5.3018 4.8475 5.3018
angles (deg): 90.00 90.00 90.00
Atoms (fractional coordinates):
Ni  0.0000  0.5000  0.0000
Br  0.5000  0.0000  0.0000
Br  0.0000  0.0000  0.5000
Sc  0.0000  0.0000  0.0000
Ga  0.5000  0.5000  0.5000

=====

Crystalline Pm7Nd12Tm at its relaxed geometry, computed with PBE-GGA.

Space-group type: R-3
Energy above the most stable polymorph in this dataset: 0.000 eV per formula unit

a b c (Å): 8.9149 8.9149 8.9149
angles (deg): 87.63 87.63 87.63
Atoms (fractional coordinates):
Tm  0.0000  0.0000  0.0000
Nd  0.7265  0.8544  0.2536
Nd  0.4918  0.6136  0.1375
Pm  0.3925  0.0747  0.1479
Nd  0.5082  0.3864  0.8625
Pm  0.1479  0.3925  0.0747
Pm  0.6075  0.9253  0.8521
Pm  0.0747  0.1479  0.3925
Pm  0.8521  0.6075  0.9253
Nd  0.2735  0.1456  0.7464
Nd  0.6136  0.1375  0.4918
Nd  0.8625  0.5082  0.3864
Pm  0.9253  0.8521  0.6075
Pm  0.5000  0.5000  0.5000
Nd  0.8544  0.2536  0.7265
Nd  0.3864  0.8625  0.5082
Nd  0.7464  0.2735  0.1456
Nd  0.1375  0.4918  0.6136
Nd  0.1456  0.7464  0.2735
Nd  0.2536  0.7265  0.8544

=====

Crystalline CaPmErAl at its relaxed geometry, computed with PBE-GGA.

Space-group type: F-43m
Final energy: -15.3 eV/cell

a b c (Å): 5.4199 5.4199 5.4199
angles (deg): 60.00 60.00 60.00
Atoms (fractional coordinates):
Ca  0.2500  0.2500  0.2500
Pm  0.0000  0.0000  0.0000
Er  0.5000  0.5000  0.5000
Al  0.7500  0.7500  0.7500

=====

Crystalline MnCu4Pd7 at its relaxed geometry, computed with PBE-GGA.

Space-group type: P-3m1
Energy above the most stable polymorph in this dataset: 0.000 eV per formula unit
........


Blair was sent to Jade's Hall when she was around seventeen because of all the trouble she was getting into using her powers.  Her family didn't know what to do with her and wanted her off their hands since she was committing bigger and bigger crimes.  Blair acted out this way because of a shoddy family life, with her mother being married and divorced three times, and the various fathers in her life all being their own brand of awful.  Instead of being put into "rehabilitation," as JH told the Hansens, she became one of Bradley Jade's test subjects for the clandestine experiments he ran on superhuman criminals.  

Spent eight years locked up and experimented on before she was broken out by one of Corrigan's inside men. Liberated from Jade's Hall by Terminus, Blair bought into Corrigan’s indoctrination hook, line, and sinker until she started to see what his real motivations were.  Mostly viewed being with the Mutilators as an outlet for criminal activities and protection from JH so she wouldn’t get caught easily. She doesn't like that she owes Corrigan for her freedom, and to rail against him, she'll assist the heroes when she can while trying to figure out a way to get out without him triggering the nanites he infused in her that would definitely induce a slow, painful demise. 

She meets Dead Eye–Aaron Benson–while with the Mutilators, a “part-time” team member who flits in and out to assist on certain missions, but is permanently stationed with The Enforcers, a white collar superhuman crime ring.  Blair is cagey with him at first despite his charms, but eventually starts talking to him when he subtly tells her that she’d have refuge with Gregory Sage’s people if she ever incurred Corrigan’s wrath.  Sage isn’t like Corrigan and his cultish ways, and pays well to those who work for him.  When Blair is comfortable enough with Aaron, she divulges to him about her time at Jade’s Hall, and is shocked (and heartened) to know he was a fellow innocent experimented on there as a child, so he knows what it’s like now.  Her worst fears happen when she helps some of the Titans in a fight (Junior Members since she draws a line with harming kids), and Corrigan sees her do so when she should have taken them out if he had his way.  He deactivates her powers and hurls a piece of shrapnel at her, which impales her in the torso, as a visceral way of telling her she’s been removed from his group.  Fortunately for her, Aaron was there at the time, and is able to spirit her away to Sage’s people before Blair can bleed out or be captured by the authorities closing in, Jade’s Hall people among them.

Sage is able to call in some favors with a few unlicensed surgeons he knows, and has Blair patched up and Corrigan’s nanites removed, though the latter is more of a painful process than anyone reckoned.  Aaron is with her every step of the way, and inadvertently, Blair starts to grow closer with him as she starts the next chapter of her life as a criminal.

-- begin --
No. 1
Material: TmBiSb2
Method: DFT, PBE
State: optimized geometry

Cell lengths 4.085, 4.085, 6.672 Å; angles 90.00, 90.00, 90.00 degrees
Fractional coordinates of all 4 atoms:
Sb  0.000  0.000  0.726
Sb  0.000  0.000  0.274
Tm  0.500  0.500  0.500
Bi  0.500  0.500  0.000

Summary:
ΔE to the lowest computed polymorph	61.6	meV per atom
spin magnetization	0.0	μB/f.u.
E	-17.960	eV for the cell shown

No. 2
Material: ReTc6B4
Method: DFT, PBE
State: optimized geometry

Cell lengths 5.664, 5.664, 5.664 Å; angles 88.52, 120.86, 120.86 degrees
Fractional coordinates of all 11 atoms:
Re  0.000  0.000  0.000
Tc  0.000  0.923  0.548
Tc  0.000  0.548  0.923
Tc  0.625  0.077  0.077
Tc  0.500  0.000  0.500
Tc  0.375  0.452  0.452
Tc  0.500  0.500  0.000
B  0.000  0.302  0.587
B  0.715  0.413  0.413
B  0.000  0.587  0.302
B  0.285  0.698  0.698

Summary:
calculated formation energy	-0.15	eV/atom
spin magnetization	0.0	μB/f.u.
E	-102.953	eV for the cell shown

No. 3
Material: PmNdZnIr
Method: DFT, PBE
State: optimized geometry

Cell lengths 4.018, 4.444, 5.816 Å; angles 90.00, 110.21, 90.00 degrees
Fractional coordinates of all 4 atoms:
Pm  0.861  0.500  0.723
Nd  0.139  0.000  0.278
Zn  0.569  0.500  0.137
Ir  0.431  0.000  0.861

Summary:
calculated formation energy	-0.52	eV/atom
ΔE to the lowest computed polymorph	0.0	meV per atom
spin magnetization	0.0	μB/f.u.
E	-21.735	eV for the cell shown

No. 4
Material: BeCuSi
Method: DFT, PBE
State: optimized geometry

Cell lengths 4.048, 4.048, 2.533 Å; angles 90.00, 90.00, 120.00 degrees
Fractional coordinates of all 3 atoms:
Be  0.000  0.000  0.981
Si  0.333  0.667  0.557
Cu  0.667  0.333  0.462

Summary:
ΔE to the lowest computed polymorph	262.3	meV per atom
spin magnetization	0.0	μB/f.u.
E	-12.331	eV for the cell shown

No. 5
Material: TaTlPb2
Method: DFT, PBE
State: optimized geometry

Cell lengths 11.756, 11.756, 11.756 Å; angles 15.95, 15.95, 15.95 degrees
Fractional coordinates of all 4 atoms:
Pb  0.990  0.990  0.990
Pb  0.510  0.510  0.510
Ta  0.250  0.250  0.250
Tl  0.750  0.750  0.750

Summary:
calculated formation energy	0.37	eV/atom
ΔE to the lowest computed polymorph	45.3	meV per atom
spin magnetization	0.0	μB/f.u.
E	-20.156	eV for the cell shown

No. 6
Material: LiSm2TlO5
Method: DFT, PBE
State: optimized geometry

Cell lengths 3.483, 7.156, 9.826 Å; angles 90.00, 90.00, 104.08 degrees
Fractional coordinates of all 18 atoms:
Li  0.771  0.542  0.504
Li  0.229  0.458  0.004
Sm  0.870  0.739  0.798
Sm  0.130  0.259  0.679
Sm  0.130  0.261  0.298
Sm  0.870  0.741  0.179
Tl  0.569  0.137  0.981
Tl  0.431  0.863  0.481
O  0.362  0.723  0.002
O  0.699  0.397  0.834
O  0.503  0.005  0.783
O  0.303  0.605  0.649
O  0.968  0.935  0.593
O  0.638  0.277  0.502
O  0.301  0.603  0.334
O  0.497  0.995  0.283
O  0.697  0.395  0.149
O  0.032  0.065  0.093

Summary:
spin magnetization	0.0	μB/f.u.
E	-118.375	eV for the cell shown

No. 7
Material: CdC3Br
Method: DFT, PBE
State: optimized geometry
-- stop --


  • TRUST ISSUES GALORE.  She’s been used by two organizations and she’ll be damned if she’s used by anyone else.  She’s doing things on her own terms now.
  • Super cagey and sarcastic as a means of coping and masking her true feelings.  The more sarcastic she gets, the more uncomfortable she is.
  • Suffers from PTSD but doesn’t realize it, so she’s come up with coping methods whenever memories of the past become too much for her, such as staying up late to avoid sleeping (nightmares) and taking on more assignments to distract herself from her depression and anxiety so she has something to focus on.
  • "No going back/I'm in too deep" mentality in regards to her life choices at present.
  • Her past life does not exist.  She is looking away. 
  • Locked in an abusive relationship with her rescuers when stuck with The Mutilators.  She feels like she owes them but doesn’t want to, so when she’s cut off from them, she’s temporarily relieved but also lowkey on edge with Sage and his crew as she doesn’t want a repeat.
  • Will help you then punch you if you try to thank her.  She’s on good terms with a select few members of the Titans, and she won’t hurt kids, so she’ll avoid those ones in a fight.
  • Hesitant about killing and opts to main when with the Mutilators, partially because she doesn’t want to be a killer, partially because she doesn’t want to give Corrigan the satisfaction of pushing her over the edge to be more like him and his associates.  Has become comfortable with it when with the Enforcers, especially when Sage finds out about her past with Jade’s Hall and lines her up with jobs to kill JH people, both those who she was in direct contact with when locked up there, or just anyone connected to the place in general.  “They’re getting what’s owed to them anyways.”
  • Always caught off guard when she’s gifted with anything since she had nothing of her own while at Jade’s Hall and the Mutilators.  Feels like she owes the person something and doesn’t understand she can accept it without giving them a gift in return.

Goals: Get out of the Mutilators and start fresh; exact revenge on the people who stole half of her life from her.